(Listing)
********
Record 1
The following is a theoretical powder X-ray diffraction pattern of MgSi2. It was derived from DFT lattice parameters and positions (GGA-PBE), using Cu Kα (λ = 1.5418 Å).
Intensities are scaled so that the largest is 100.

Most intense lines, 2θ from 5° to 70°, low angle first:
2theta  intensity  index
33.7  43  2 1 0
35.8  69  1 1 2
36.0  100  2 1 1
36.6  46  1 0 -3
40.9  95  2 1 -2
48.8  61  0 2 0

Crystal structure
```
data_MgSi2
_chemical_formula_sum 'Mg4 Si8'
_cell_length_a 7.564
_cell_length_b 3.731
_cell_length_c 7.706
_cell_angle_alpha 90.00
_cell_angle_beta 91.61
_cell_angle_gamma 90.00
_space_group_name_H-M_alt 'P 1'
_space_group_IT_number 1
loop_
_space_group_symop_operation_xyz
'x,y,z'
loop_
_atom_site_label
_atom_site_type_symbol
_atom_site_fract_x
_atom_site_fract_y
_atom_site_fract_z
Mg1 Mg 0.152 0.250 0.394
Mg2 Mg 0.189 0.750 0.041
Mg3 Mg 0.811 0.250 0.959
Mg4 Mg 0.848 0.750 0.606
Si1 Si 0.096 0.250 0.754
Si2 Si 0.285 0.750 0.694
Si3 Si 0.433 0.750 0.416
Si4 Si 0.467 0.250 0.098
Si5 Si 0.533 0.750 0.902
Si6 Si 0.567 0.250 0.584
Si7 Si 0.715 0.250 0.306
Si8 Si 0.904 0.750 0.246
```

---

Record 2
The following is a theoretical powder X-ray diffraction pattern of Mg6Si5. It was derived from DFT lattice parameters and positions (GGA-PBE), using Cu Kα (λ = 1.5418 Å).
Intensities are scaled so that the largest is 100.

Most intense lines, 2θ from 5° to 70°, low angle first:
2theta  intensity  index
33.3  24  2 1 0
35.3  77  1 1 -4
36.3  100  2 1 2
37.9  35  2 1 -3
38.8  35  0 1 5
43.6  68  0 2 0

Crystal structure
```
data_Mg6Si5
_chemical_formula_sum 'Mg12 Si10'
_cell_length_a 7.068
_cell_length_b 4.152
_cell_length_c 14.034
_cell_angle_alpha 90.00
_cell_angle_beta 93.27
_cell_angle_gamma 90.00
_space_group_name_H-M_alt 'P 1'
_space_group_IT_number 1
loop_
_space_group_symop_operation_xyz
'x,y,z'
loop_
_atom_site_label
_atom_site_type_symbol
_atom_site_fract_x
_atom_site_fract_y
_atom_site_fract_z
Mg1 Mg 0.000 0.000 0.000
Mg2 Mg 0.007 0.000 0.220
Mg3 Mg 0.148 0.500 0.851
Mg4 Mg 0.189 0.500 0.351
Mg5 Mg 0.230 0.000 0.518
Mg6 Mg 0.287 0.500 0.106
Mg7 Mg 0.444 0.000 0.775
Mg8 Mg 0.625 0.000 0.105
Mg9 Mg 0.633 0.500 0.933
Mg10 Mg 0.652 0.000 0.602
Mg11 Mg 0.686 0.500 0.286
Mg12 Mg 0.916 0.500 0.540
Si1 Si 0.051 0.000 0.690
Si2 Si 0.285 0.500 0.658
Si3 Si 0.364 0.000 0.960
Si4 Si 0.385 0.000 0.244
Si5 Si 0.484 0.500 0.489
Si6 Si 0.552 0.000 0.398
Si7 Si 0.737 0.500 0.738
Si8 Si 0.847 0.000 0.824
Si9 Si 0.880 0.500 0.108
Si10 Si 0.903 0.000 0.402
```

=====

This entry pairs a crystal structure of LiFe3F9 with its computed powder X-ray diffraction pattern. Radiation: λ = 1.5418 Å (Cu Kα). Structure: a DFT-relaxed cell (PBE+U, Alexandria).
Intensities are scaled so that the largest is 100.

Main lines, in order of rising 2θ (15 to 90 degrees two-theta):
hkl 1 0 -1, 2θ 20.10, rel. 46.9
hkl 1 0 1, 2θ 20.53, rel. 74.2
hkl 0 2 0, 2θ 23.85, rel. 100.0
hkl 1 0 -2, 2θ 26.80, rel. 54.2
hkl 1 0 2, 2θ 27.47, rel. 34.4
hkl 2 2 -3, 2θ 53.55, rel. 35.4

Cell and atoms:
```
LiFe3F9
1.0
5.071 0.000 0.000
0.000 7.461 0.000
-0.210 0.000 8.630
Li Fe F
2 6 18
direct
0.040 0.250 0.488
0.960 0.750 0.512
0.000 0.000 0.000
0.000 0.500 0.000
0.484 0.001 0.684
0.484 0.499 0.684
0.516 0.501 0.316
0.516 0.999 0.316
0.124 0.250 0.984
0.179 0.564 0.809
0.179 0.936 0.809
0.255 0.562 0.484
0.255 0.938 0.484
0.306 0.561 0.129
0.306 0.939 0.129
0.322 0.250 0.653
0.360 0.250 0.329
0.640 0.750 0.671
0.678 0.750 0.347
0.694 0.061 0.871
0.694 0.439 0.871
0.745 0.062 0.516
0.745 0.438 0.516
0.821 0.064 0.191
0.821 0.436 0.191
0.876 0.750 0.016
```
********

(Activity)
Set down the block earlier on from the line with "_cell_length_a 7.564" to the end unchanged.

(Worked solution)
_cell_length_a 7.564
_cell_length_b 3.731
_cell_length_c 7.706
_cell_angle_alpha 90.00
_cell_angle_beta 91.61
_cell_angle_gamma 90.00
_space_group_name_H-M_alt 'P 1'
_space_group_IT_number 1
loop_
_space_group_symop_operation_xyz
'x,y,z'
loop_
_atom_site_label
_atom_site_type_symbol
_atom_site_fract_x
_atom_site_fract_y
_atom_site_fract_z
Mg1 Mg 0.152 0.250 0.394
Mg2 Mg 0.189 0.750 0.041
Mg3 Mg 0.811 0.250 0.959
Mg4 Mg 0.848 0.750 0.606
Si1 Si 0.096 0.250 0.754
Si2 Si 0.285 0.750 0.694
Si3 Si 0.433 0.750 0.416
Si4 Si 0.467 0.250 0.098
Si5 Si 0.533 0.750 0.902
Si6 Si 0.567 0.250 0.584
Si7 Si 0.715 0.250 0.306
Si8 Si 0.904 0.750 0.246
```

---

Record 2
The following is a theoretical powder X-ray diffraction pattern of Mg6Si5. It was derived from DFT lattice parameters and positions (GGA-PBE), using Cu Kα (λ = 1.5418 Å).
Intensities are scaled so that the largest is 100.

Most intense lines, 2θ from 5° to 70°, low angle first:
2theta  intensity  index
33.3  24  2 1 0
35.3  77  1 1 -4
36.3  100  2 1 2
37.9  35  2 1 -3
38.8  35  0 1 5
43.6  68  0 2 0

Crystal structure
```
data_Mg6Si5
_chemical_formula_sum 'Mg12 Si10'
_cell_length_a 7.068
_cell_length_b 4.152
_cell_length_c 14.034
_cell_angle_alpha 90.00
_cell_angle_beta 93.27
_cell_angle_gamma 90.00
_space_group_name_H-M_alt 'P 1'
_space_group_IT_number 1
loop_
_space_group_symop_operation_xyz
'x,y,z'
loop_
_atom_site_label
_atom_site_type_symbol
_atom_site_fract_x
_atom_site_fract_y
_atom_site_fract_z
Mg1 Mg 0.000 0.000 0.000
Mg2 Mg 0.007 0.000 0.220
Mg3 Mg 0.148 0.500 0.851
Mg4 Mg 0.189 0.500 0.351
Mg5 Mg 0.230 0.000 0.518
Mg6 Mg 0.287 0.500 0.106
Mg7 Mg 0.444 0.000 0.775
Mg8 Mg 0.625 0.000 0.105
Mg9 Mg 0.633 0.500 0.933
Mg10 Mg 0.652 0.000 0.602
Mg11 Mg 0.686 0.500 0.286
Mg12 Mg 0.916 0.500 0.540
Si1 Si 0.051 0.000 0.690
Si2 Si 0.285 0.500 0.658
Si3 Si 0.364 0.000 0.960
Si4 Si 0.385 0.000 0.244
Si5 Si 0.484 0.500 0.489
Si6 Si 0.552 0.000 0.398
Si7 Si 0.737 0.500 0.738
Si8 Si 0.847 0.000 0.824
Si9 Si 0.880 0.500 0.108
Si10 Si 0.903 0.000 0.402
```

=====

This entry pairs a crystal structure of LiFe3F9 with its computed powder X-ray diffraction pattern. Radiation: λ = 1.5418 Å (Cu Kα). Structure: a DFT-relaxed cell (PBE+U, Alexandria).
Intensities are scaled so that the largest is 100.

Main lines, in order of rising 2θ (15 to 90 degrees two-theta):
hkl 1 0 -1, 2θ 20.10, rel. 46.9
hkl 1 0 1, 2θ 20.53, rel. 74.2
hkl 0 2 0, 2θ 23.85, rel. 100.0
hkl 1 0 -2, 2θ 26.80, rel. 54.2
hkl 1 0 2, 2θ 27.47, rel. 34.4
hkl 2 2 -3, 2θ 53.55, rel. 35.4

Cell and atoms:
```
LiFe3F9
1.0
5.071 0.000 0.000
0.000 7.461 0.000
-0.210 0.000 8.630
Li Fe F
2 6 18
direct
0.040 0.250 0.488
0.960 0.750 0.512
0.000 0.000 0.000
0.000 0.500 0.000
0.484 0.001 0.684
0.484 0.499 0.684
0.516 0.501 0.316
0.516 0.999 0.316
0.124 0.250 0.984
0.179 0.564 0.809
0.179 0.936 0.809
0.255 0.562 0.484
0.255 0.938 0.484
0.306 0.561 0.129
0.306 0.939 0.129
0.322 0.250 0.653
0.360 0.250 0.329
0.640 0.750 0.671
0.678 0.750 0.347
0.694 0.061 0.871
0.694 0.439 0.871
0.745 0.062 0.516
0.745 0.438 0.516
0.821 0.064 0.191
0.821 0.436 0.191
0.876 0.750 0.016
```